**Source:**
'''
Entry 1:
The following is a theoretical powder diffraction line list of Ce7Ga2. It was derived from DFT lattice parameters and positions (PBE), using Cu Kα (λ = 1.5418 Å).
Neutral-atom scattering factors, no anomalous dispersion.

Top 12 peaks for 10° ≤ 2θ ≤ 80°, by intensity:
33.90°, I = 100.0
35.37°, I = 86.7
34.45°, I = 48.8
35.50°, I = 23.9
61.61°, I = 21.7
50.22°, I = 19.9
61.36°, I = 18.1
71.58°, I = 13.7
49.35°, I = 12.0
62.31°, I = 11.4
71.33°, I = 10.7
21.91°, I = 10.1

Lattice parameters (Å, degrees): 9.210 5.206 9.167 90.00 90.49 90.00
Space group C2/m (No. 12)
Asymmetric unit:
Ce  0.000  0.000  0.000
Ce  0.010  0.000  0.312
Ce  0.156  0.500  0.501
Ce  0.162  0.500  0.198
Ga  0.167  0.500  0.848

=====

Entry 2:
The following is a theoretical powder diffraction line list of Ce5Ga. It was derived from DFT lattice parameters and positions (PBE), using Cu Kα (λ = 1.5418 Å).
Neutral-atom scattering factors, no anomalous dispersion.

Top 12 peaks for 10° ≤ 2θ ≤ 80°, by intensity:
33.82°, I = 100.0
37.22°, I = 20.1
38.75°, I = 15.0
64.94°, I = 14.9
41.66°, I = 14.7
57.08°, I = 11.6
71.03°, I = 11.4
54.82°, I = 10.9
71.14°, I = 9.9
67.01°, I = 9.3
58.20°, I = 9.1
22.39°, I = 5.3

Lattice parameters (Å, degrees): 4.336 13.942 4.832 90.00 90.00 90.00
Space group Cmmm (No. 65)
Asymmetric unit:
Ce  0.000  0.000  0.000
Ce  0.000  0.176  0.500
Ce  0.000  0.350  0.000
Ga  0.000  0.500  0.500

=====

Entry 3:
The following is a theoretical powder diffraction line list of Ce5Ga2. It was derived from DFT lattice parameters and positions (PBE), using Cu Kα (λ = 1.5418 Å).
Neutral-atom scattering factors, no anomalous dispersion.

Top 12 peaks for 10° ≤ 2θ ≤ 80°, by intensity:
33.49°, I = 100.0
34.29°, I = 92.4
38.23°, I = 34.0
38.65°, I = 33.2
41.08°, I = 28.6
57.36°, I = 20.7
57.67°, I = 20.5
65.61°, I = 13.6
66.20°, I = 13.3
54.41°, I = 12.2
67.07°, I = 12.0
67.64°, I = 11.9

Lattice parameters (Å, degrees): 10.295 4.395 7.521 90.00 97.13 90.00
Space group C2/m (No. 12)
Asymmetric unit:
Ce  0.000  0.000  0.000
Ce  0.133  0.000  0.436
Ce  0.213  0.500  0.149
Ga  0.078  0.500  0.723

=====

Entry 4:
The following is a theoretical powder diffraction line list of CeGa5. It was derived from DFT lattice parameters and positions (PBE), using Cu Kα (λ = 1.5418 Å).
Neutral-atom scattering factors, no anomalous dispersion.

Top 12 peaks for 10° ≤ 2θ ≤ 80°, by intensity:
36.91°, I = 100.0
37.32°, I = 97.2
35.75°, I = 52.8
40.60°, I = 38.3
55.19°, I = 29.6
72.63°, I = 23.6
51.77°, I = 19.3
65.54°, I = 16.8
67.79°, I = 16.8
71.45°, I = 14.6
71.72°, I = 13.6
24.66°, I = 10.9

Lattice parameters (Å, degrees): 4.444 6.188 8.602 90.00 90.00 90.00
Space group Immm (No. 71)
Asymmetric unit:
Ce  0.000  0.000  0.000
Ga  0.000  0.232  0.335
Ga  0.000  0.500  0.000

=====

Entry 5:
The following is a theoretical powder diffraction line list of CeGdScGa. It was derived from DFT lattice parameters and positions (PBE), using Cu Kα (λ = 1.5418 Å).
Neutral-atom scattering factors, no anomalous dispersion.

Top 10 peaks for 10° ≤ 2θ ≤ 80°, by intensity:
34.21°, I = 100.0
61.26°, I = 36.2
24.01°, I = 22.1
49.16°, I = 17.7
72.07°, I = 11.1
55.43°, I = 9.6
42.23°, I = 6.9
77.22°, I = 4.7
20.75°, I = 1.3
40.35°, I = 0.8

Lattice parameters (Å, degrees): 7.413 7.413 7.413 90.00 90.00 90.00
Space group F-43m (No. 216)
Asymmetric unit:
Ce  0.000  0.000  0.000
'''

**Activity:**
What is needed: type out the rows further above exactly.

**Worked solution:**
Entry 1:
The following is a theoretical powder diffraction line list of Ce7Ga2. It was derived from DFT lattice parameters and positions (PBE), using Cu Kα (λ = 1.5418 Å).
Neutral-atom scattering factors, no anomalous dispersion.

Top 12 peaks for 10° ≤ 2θ ≤ 80°, by intensity:
33.90°, I = 100.0
35.37°, I = 86.7
34.45°, I = 48.8
35.50°, I = 23.9
61.61°, I = 21.7
50.22°, I = 19.9
61.36°, I = 18.1
71.58°, I = 13.7
49.35°, I = 12.0
62.31°, I = 11.4
71.33°, I = 10.7
21.91°, I = 10.1

Lattice parameters (Å, degrees): 9.210 5.206 9.167 90.00 90.49 90.00
Space group C2/m (No. 12)
Asymmetric unit:
Ce  0.000  0.000  0.000
Ce  0.010  0.000  0.312
Ce  0.156  0.500  0.501
Ce  0.162  0.500  0.198
Ga  0.167  0.500  0.848

=====

Entry 2:
The following is a theoretical powder diffraction line list of Ce5Ga. It was derived from DFT lattice parameters and positions (PBE), using Cu Kα (λ = 1.5418 Å).
Neutral-atom scattering factors, no anomalous dispersion.

Top 12 peaks for 10° ≤ 2θ ≤ 80°, by intensity:
33.82°, I = 100.0
37.22°, I = 20.1
38.75°, I = 15.0
64.94°, I = 14.9
41.66°, I = 14.7
57.08°, I = 11.6
71.03°, I = 11.4
54.82°, I = 10.9
71.14°, I = 9.9
67.01°, I = 9.3
58.20°, I = 9.1
22.39°, I = 5.3

Lattice parameters (Å, degrees): 4.336 13.942 4.832 90.00 90.00 90.00
Space group Cmmm (No. 65)
Asymmetric unit:
Ce  0.000  0.000  0.000
Ce  0.000  0.176  0.500
Ce  0.000  0.350  0.000
Ga  0.000  0.500  0.500

=====

Entry 3:
The following is a theoretical powder diffraction line list of Ce5Ga2. It was derived from DFT lattice parameters and positions (PBE), using Cu Kα (λ = 1.5418 Å).
Neutral-atom scattering factors, no anomalous dispersion.

Top 12 peaks for 10° ≤ 2θ ≤ 80°, by intensity:
33.49°, I = 100.0
34.29°, I = 92.4
38.23°, I = 34.0
38.65°, I = 33.2
41.08°, I = 28.6
57.36°, I = 20.7
57.67°, I = 20.5
65.61°, I = 13.6
66.20°, I = 13.3
54.41°, I = 12.2
67.07°, I = 12.0
67.64°, I = 11.9

Lattice parameters (Å, degrees): 10.295 4.395 7.521 90.00 97.13 90.00
Space group C2/m (No. 12)
Asymmetric unit:
Ce  0.000  0.000  0.000
Ce  0.133  0.000  0.436
Ce  0.213  0.500  0.149
Ga  0.078  0.500  0.723

=====

Entry 4:
The following is a theoretical powder diffraction line list of CeGa5. It was derived from DFT lattice parameters and positions (PBE), using Cu Kα (λ = 1.5418 Å).
Neutral-atom scattering factors, no anomalous dispersion.

Top 12 peaks for 10° ≤ 2θ ≤ 80°, by intensity:
36.91°, I = 100.0
37.32°, I = 97.2
35.75°, I = 52.8
40.60°, I = 38.3
55.19°, I = 29.6
72.63°, I = 23.6
51.77°, I = 19.3
65.54°, I = 16.8
67.79°, I = 16.8
71.45°, I = 14.6
71.72°, I = 13.6
24.66°, I = 10.9

Lattice parameters (Å, degrees): 4.444 6.188 8.602 90.00 90.00 90.00
Space group Immm (No. 71)
Asymmetric unit:
Ce  0.000  0.000  0.000
Ga  0.000  0.232  0.335
Ga  0.000  0.500  0.000

=====

Entry 5:
The following is a theoretical powder diffraction line list of CeGdScGa. It was derived from DFT lattice parameters and positions (PBE), using Cu Kα (λ = 1.5418 Å).
Neutral-atom scattering factors, no anomalous dispersion.

Top 10 peaks for 10° ≤ 2θ ≤ 80°, by intensity:
34.21°, I = 100.0
61.26°, I = 36.2
24.01°, I = 22.1
49.16°, I = 17.7
72.07°, I = 11.1
55.43°, I = 9.6
42.23°, I = 6.9
77.22°, I = 4.7
20.75°, I = 1.3
40.35°, I = 0.8

Lattice parameters (Å, degrees): 7.413 7.413 7.413 90.00 90.00 90.00
Space group F-43m (No. 216)
Asymmetric unit:
Ce  0.000  0.000  0.000